Excerpt:
********
No. 1
{"formula": "C4H35N2O11", "method": "wB97M-V/def2-TZVPD", "species": ["N", "C", "C", "N", "C", "C", "H", "H", "H", "H", "H", "H", "H", "H", "H", "H", "H", "H", "H", "H", "H", "O", "H", "H", "O", "H", "H", "O", "H", "H", "O", "H", "H", "O", "H", "H", "O", "H", "H", "O", "H", "H", "O", "H", "H", "O", "H", "H", "O", "H", "H", "O"], "positions_angstrom": [[-0.363, 1.503, 1.197], [0.704, 0.602, 0.622], [0.624, -0.735, 1.359], [0.646, -0.504, 2.847], [1.937, -0.932, 3.416], [-0.431, -1.462, 3.475], [-1.317, 1.279, 0.791], [-0.179, 2.502, 0.957], [-0.267, 1.294, 2.224], [1.728, 0.872, 0.870], [0.626, 0.519, -0.451], [1.492, -1.309, 1.110], [-0.124, -1.413, 1.026], [2.726, -0.318, 3.053], [2.315, -1.993, 3.038], [1.822, -0.699, 4.471], [-0.980, -0.734, 4.196], [0.032, -2.398, 3.799], [-1.262, -1.427, 2.743], [0.360, 0.222, -5.186], [0.554, -0.804, -4.021], [-0.068, -0.291, -4.513], [-1.647, 1.457, -3.600], [-1.609, -0.007, -3.937], [-2.094, 0.653, -3.385], [2.092, 2.611, 1.406], [2.410, 2.980, 2.777], [1.700, 3.053, 2.128], [-3.296, 0.324, 1.838], [-3.102, 1.616, 2.800], [-2.656, 0.870, 2.293], [-1.688, -0.072, -1.983], [-1.248, -1.317, -1.554], [-1.242, -0.435, -1.173], [1.131, 4.360, -0.583], [1.412, 2.797, -0.871], [0.948, 3.473, -0.362], [1.157, -2.999, -2.489], [2.333, -3.814, -2.118], [2.085, -2.882, -2.196], [-5.045, -0.540, -1.289], [-3.547, -0.549, -0.752], [-4.351, -1.133, -0.887], [-4.002, -1.661, 0.875], [-3.103, -2.542, 1.431], [-3.856, -2.011, 1.739], [3.149, 1.476, -1.473], [2.122, 0.447, -2.328], [2.268, 1.095, -1.593], [3.287, 0.337, -4.216], [3.087, -1.117, -3.811], [2.733, -0.242, -3.712]], "atomic_forces_ev_per_a": [[0.43, 0.01, -0.94], [-0.26, -1.06, 0.59], [0.78, 0.43, 0.76], [-1.17, -2.61, -0.79], [-0.14, -0.76, -1.06], [-0.82, 4.56, -0.46], [1.46, -0.11, 1.14], [0.24, -0.71, 0.39], [-0.65, 0.44, -0.70], [-0.38, 1.04, -0.01], [-0.27, 0.03, 0.35], [1.05, -0.15, -0.42], [-1.37, 0.00, -0.01], [0.65, 0.95, -0.35], [-1.20, 1.57, 1.42], [0.52, -0.92, 0.28], [1.35, -1.99, 0.04], [-0.67, 0.17, 0.08], [0.61, -1.21, 0.16], [0.68, 0.11, -0.41], [1.03, -0.13, 0.09], [-1.07, -0.34, -0.20], [0.41, 0.92, -0.07], [-0.33, 0.73, 0.24], [-1.02, -1.19, -0.15], [0.43, -0.43, -1.64], [-0.28, 0.24, 0.43], [0.15, 0.57, 1.88], [-0.71, -0.24, 0.39], [0.42, -1.74, -1.13], [-0.23, 1.74, 1.02], [0.17, 1.35, 0.37], [0.38, -0.90, 0.79], [-0.82, -0.48, -0.84], [0.67, 1.20, -0.71], [0.18, 0.35, -0.68], [-1.03, -1.75, 0.75], [0.64, 0.38, 0.25], [0.42, 0.19, 0.13], [-1.07, -0.55, -0.47], [1.10, -0.89, 0.64], [-1.24, -0.82, -0.61], [0.44, 1.87, -0.28], [-1.54, 0.84, -1.24], [-0.01, -0.41, 1.05], [1.39, -0.53, 0.24], [-0.12, -0.87, -0.87], [1.38, 0.90, 0.54], [-0.70, 0.76, 0.56], [0.50, 0.54, -0.47], [0.35, -0.90, 0.10], [-0.74, -0.22, -0.16]], "homo_energy_ev": -11.843, "total_charge": 1, "gap_ev": 9.156}

=====

No. 2
********

Activity:
Now search the material above for the word "C4H35N2O11" and reproduce each line that has it.

Reply:
{"formula": "C4H35N2O11", "method": "wB97M-V/def2-TZVPD", "species": ["N", "C", "C", "N", "C", "C", "H", "H", "H", "H", "H", "H", "H", "H", "H", "H", "H", "H", "H", "H", "H", "O", "H", "H", "O", "H", "H", "O", "H", "H", "O", "H", "H", "O", "H", "H", "O", "H", "H", "O", "H", "H", "O", "H", "H", "O", "H", "H", "O", "H", "H", "O"], "positions_angstrom": [[-0.363, 1.503, 1.197], [0.704, 0.602, 0.622], [0.624, -0.735, 1.359], [0.646, -0.504, 2.847], [1.937, -0.932, 3.416], [-0.431, -1.462, 3.475], [-1.317, 1.279, 0.791], [-0.179, 2.502, 0.957], [-0.267, 1.294, 2.224], [1.728, 0.872, 0.870], [0.626, 0.519, -0.451], [1.492, -1.309, 1.110], [-0.124, -1.413, 1.026], [2.726, -0.318, 3.053], [2.315, -1.993, 3.038], [1.822, -0.699, 4.471], [-0.980, -0.734, 4.196], [0.032, -2.398, 3.799], [-1.262, -1.427, 2.743], [0.360, 0.222, -5.186], [0.554, -0.804, -4.021], [-0.068, -0.291, -4.513], [-1.647, 1.457, -3.600], [-1.609, -0.007, -3.937], [-2.094, 0.653, -3.385], [2.092, 2.611, 1.406], [2.410, 2.980, 2.777], [1.700, 3.053, 2.128], [-3.296, 0.324, 1.838], [-3.102, 1.616, 2.800], [-2.656, 0.870, 2.293], [-1.688, -0.072, -1.983], [-1.248, -1.317, -1.554], [-1.242, -0.435, -1.173], [1.131, 4.360, -0.583], [1.412, 2.797, -0.871], [0.948, 3.473, -0.362], [1.157, -2.999, -2.489], [2.333, -3.814, -2.118], [2.085, -2.882, -2.196], [-5.045, -0.540, -1.289], [-3.547, -0.549, -0.752], [-4.351, -1.133, -0.887], [-4.002, -1.661, 0.875], [-3.103, -2.542, 1.431], [-3.856, -2.011, 1.739], [3.149, 1.476, -1.473], [2.122, 0.447, -2.328], [2.268, 1.095, -1.593], [3.287, 0.337, -4.216], [3.087, -1.117, -3.811], [2.733, -0.242, -3.712]], "atomic_forces_ev_per_a": [[0.43, 0.01, -0.94], [-0.26, -1.06, 0.59], [0.78, 0.43, 0.76], [-1.17, -2.61, -0.79], [-0.14, -0.76, -1.06], [-0.82, 4.56, -0.46], [1.46, -0.11, 1.14], [0.24, -0.71, 0.39], [-0.65, 0.44, -0.70], [-0.38, 1.04, -0.01], [-0.27, 0.03, 0.35], [1.05, -0.15, -0.42], [-1.37, 0.00, -0.01], [0.65, 0.95, -0.35], [-1.20, 1.57, 1.42], [0.52, -0.92, 0.28], [1.35, -1.99, 0.04], [-0.67, 0.17, 0.08], [0.61, -1.21, 0.16], [0.68, 0.11, -0.41], [1.03, -0.13, 0.09], [-1.07, -0.34, -0.20], [0.41, 0.92, -0.07], [-0.33, 0.73, 0.24], [-1.02, -1.19, -0.15], [0.43, -0.43, -1.64], [-0.28, 0.24, 0.43], [0.15, 0.57, 1.88], [-0.71, -0.24, 0.39], [0.42, -1.74, -1.13], [-0.23, 1.74, 1.02], [0.17, 1.35, 0.37], [0.38, -0.90, 0.79], [-0.82, -0.48, -0.84], [0.67, 1.20, -0.71], [0.18, 0.35, -0.68], [-1.03, -1.75, 0.75], [0.64, 0.38, 0.25], [0.42, 0.19, 0.13], [-1.07, -0.55, -0.47], [1.10, -0.89, 0.64], [-1.24, -0.82, -0.61], [0.44, 1.87, -0.28], [-1.54, 0.84, -1.24], [-0.01, -0.41, 1.05], [1.39, -0.53, 0.24], [-0.12, -0.87, -0.87], [1.38, 0.90, 0.54], [-0.70, 0.76, 0.56], [0.50, 0.54, -0.47], [0.35, -0.90, 0.10], [-0.74, -0.22, -0.16]], "homo_energy_ev": -11.843, "total_charge": 1, "gap_ev": 9.156}